ASID Intermountain

2024 Design Excellence Awards

Awards Program Dates

Registration Open
From: June 3, 2024 12:00AM MDTTo: July 27, 2024 11:59PM MDT
Entry Management Open
From: June 11, 2024 12:00AM MDTTo: July 27, 2024 11:59PM MDT
Rules & Regulations



ASID Intermountain Chapter MEMBERS ONLY – Not a member, submit an application for membership to join our community at:

Early Bird Registration: $100 per entry (deadline 6/20/24 at 11:59PM)

Regular Registration: $150 per entry (from 6/21/24 – 7/27/24 at 11:59PM)

*** Residential and Commercial categories are only open to Designers with an ASID Professional, Allied, or Associate Membership.

*** Industry Partner categories are only open to Industry Partners. 


Residential Awards

  • Best Residence
  • Best Kitchen
  • Best Bathroom
  • Best Living Space (other than Kitchen or Bathroom)
    • Example: Office, Outdoor, Great Room…           

Commercial Awards - Hospitality, Healthcare, Wellness, Retail, Workplace, Education, Government

  • Spaces over 15,000 sf                       
  • Spaces under 15,000 sf                     

Industry Partner Awards

  • Best Showroom Remodel
  • Best use of Product or Services

Each category judged must have a minimum of three entrees. To ensure impartial judging, all of the entries will be judged anonymously by fellow ASID chapter(s).  Submissions will be judged according to category submitted as well as the following criteria.  Successful entries must demonstrate exceptional design and positive impact on life and the human experience.

Our judges will use a weighted scale as outlined below:

20 pts.     How did your Design Impact Lives? Word Limit 500 words.  Design statement that clearly states creative    challenges faced in each project, goals and solutions implemented to work within these challenges.

10 pts.     Functional use of space, state the goals of the design

10 pts.     Scale and proportion: Include square footage

10 pts.     Color and composition

20 pts.     Creativity of the design solution. Is the design approach creative & appropriate? Describe innovative use of materials.  

10 pts.      Innovative use of lighting

10 pts.      Use of Sustainable design principles. Note any sustainable attributes or standards that were employed.

10 pts.      Use of Universal design principles. Note any universal/accessible standards that were employed.

TOTAL     100 Points

Next to the piece, the page also holds quantum chemistry results:
........
1.
174
Properties=species:S:1:pos:R:3 method="wB97M-V/def2-TZVPD" de_lowest_kj_mol=0.0 gap_ev=6.2 charge=-1
C 5.51 -0.15 3.42
C 4.87 -0.12 1.93
C 3.45 0.62 1.85
C 2.72 0.39 0.42
C 1.47 1.37 0.20
C 0.15 0.64 0.79
C -1.21 1.25 0.11
C -2.36 0.94 1.17
O -2.06 -0.41 1.69
C -2.04 -0.41 3.13
C -3.56 -0.34 3.65
C -3.97 -1.58 4.60
O -4.70 -2.51 4.18
C -1.46 -1.86 3.58
O -1.55 -2.89 2.87
O -0.81 -1.90 4.82
O -0.89 2.59 -0.23
C -1.90 3.59 -0.23
C -2.23 4.23 1.23
C -0.90 4.36 2.14
C -1.42 4.52 3.67
C -0.17 4.39 4.67
C -1.13 4.85 -0.94
O -0.89 4.61 -2.34
C 0.34 5.29 -2.79
C 1.50 4.19 -2.71
C -3.18 3.38 -1.16
C -4.55 3.02 -0.46
O -5.14 3.64 0.43
Br -5.52 1.38 -1.12
B -1.46 0.23 -1.16
O -0.31 -0.15 -1.93
O -2.74 -0.33 -1.50
C -2.65 -1.71 -1.94
H 6.59 -0.50 3.36
H 4.93 -0.93 4.02
H 5.43 0.87 3.92
H 4.84 -1.21 1.58
H 5.62 0.45 1.27
H 3.62 1.75 1.96
H 2.82 0.23 2.72
H 2.42 -0.73 0.41
H 3.50 0.52 -0.41
H 1.34 1.57 -0.93
H 1.71 2.35 0.73
H 0.15 0.88 1.91
H 0.26 -0.47 0.59
H -3.42 0.86 0.77
H -2.27 1.63 2.09
H -1.34 0.37 3.59
H -4.28 -0.41 2.75
H -3.75 0.64 4.23
H -3.63 -1.62 5.69
H -3.00 3.62 1.80
H -2.63 5.29 1.05
H -0.27 5.25 1.83
H -0.28 3.40 2.11
H -2.12 3.62 3.84
H -2.06 5.45 3.82
H 0.20 5.43 4.93
H 0.66 3.78 4.18
H -0.51 3.82 5.60
H -0.13 4.96 -0.41
H -1.77 5.80 -0.87
H 0.21 5.71 -3.86
H 0.51 6.19 -2.10
H 1.23 3.39 -3.49
H 2.54 4.60 -2.90
H 1.44 3.69 -1.67
H -3.38 4.36 -1.74
H -3.01 2.60 -1.99
H -0.49 -0.04 -2.89
H -2.23 -1.71 -3.00
H -3.73 -2.12 -1.98
H -2.06 -2.39 -1.25
C -9.84 0.54 -1.57
C -9.09 -0.32 -2.55
O -8.03 -1.02 -1.89
H -9.17 1.27 -1.09
H -10.65 1.09 -2.06
H -10.27 -0.06 -0.76
H -8.64 0.29 -3.34
H -9.75 -1.06 -3.02
H -8.43 -1.56 -1.20
C -3.09 -4.28 8.06
C -2.89 -3.06 8.93
O -1.65 -2.44 8.63
H -2.28 -5.00 8.21
H -4.04 -4.78 8.28
H -3.07 -4.00 7.00
H -2.89 -3.35 9.99
H -3.70 -2.34 8.77
H -1.68 -2.19 7.69
C -14.03 -2.83 -2.97
C -12.69 -2.16 -3.16
O -12.36 -1.37 -2.03
H -14.81 -2.08 -2.81
H -14.30 -3.43 -3.84
H -14.02 -3.47 -2.09
H -12.71 -1.50 -4.04
H -11.90 -2.91 -3.31
H -12.33 -1.96 -1.26
C 9.11 -4.09 4.75
C 7.92 -3.21 4.43
O 7.76 -3.11 3.02
H 10.02 -3.68 4.31
H 9.26 -4.17 5.83
H 8.98 -5.09 4.34
H 8.06 -2.20 4.82
H 7.00 -3.62 4.86
H 7.62 -4.01 2.68
C -8.93 -0.31 -6.80
C -7.58 0.36 -7.00
O -7.25 1.15 -5.86
H -9.71 0.44 -6.63
H -9.20 -0.92 -7.66
H -8.91 -0.95 -5.91
H -7.61 1.01 -7.87
H -6.79 -0.39 -7.15
H -7.22 0.56 -5.10
C 10.84 -6.55 7.95
C 9.95 -7.18 6.90
O 10.45 -6.89 5.60
H 10.89 -5.46 7.82
H 10.46 -6.76 8.96
H 11.86 -6.92 7.87
H 8.94 -6.78 6.96
H 9.91 -8.26 7.02
H 11.35 -7.25 5.54
C 6.03 4.46 5.66
C 5.38 4.14 4.33
O 4.01 3.81 4.51
H 5.94 3.60 6.34
H 7.09 4.70 5.54
H 5.53 5.30 6.14
H 5.87 3.28 3.86
H 5.46 4.99 3.64
H 3.59 4.58 4.92
C 5.84 -2.84 -1.01
C 7.19 -2.18 -1.21
O 7.52 -1.39 -0.08
H 5.06 -2.09 -0.86
H 5.57 -3.45 -1.88
H 5.85 -3.48 -0.13
H 7.17 -1.53 -2.09
H 7.97 -2.93 -1.36
H 7.54 -1.98 0.69
C 2.94 4.84 -7.33
C 1.83 4.51 -6.35
O 1.24 5.70 -5.86
H 3.71 5.45 -6.85
H 3.41 3.92 -7.70
H 2.56 5.41 -8.18
H 2.23 3.96 -5.49
H 1.06 3.90 -6.83
........
The piece goes on:


  • Your name or firm name may not appear in any of the files or images or your entry will be immediately disqualified. Refunds are not given if your entry is disqualified.
  • Entrant(s) must be a current member of the Intermountain Chapter of ASID in good standing.
  • Payment is per entry. Participant must register and attend our 2024 Annual Meeting and Design Excellence Awards on September 26, 2024 to be held in: Boise, ID / Bozeman, MT / Salt Lake City, UT / Jackson Hole, WY. The four event locations TBD.     
  • Participant may submit multiple projects under each category; applicable entry fee applies to each work submitted.
  • Upload high resolution photography, floor plan, and design statement for each submission.
  • Floor Plans must be submitted to scale, with scale noted or shown graphically in pdf format.
  • Include written design statement (500 word limit). How does your solution impact the lives of your clients?
  • Images: Add labels or captions for clarity, in a single PDF, 10 MB limit for each submission.
  • Upload design statement to folder. Save file as: designstatement.project name.category.pdf. Do not include your name, logo, or firm name.
  • Upload PDF of images including floor plan & indicate scale. Save file as: images.project name.category.pdf
  • Entry fees are nonrefundable.
  • Payments and entries must be received no later than June 20, 2024 at 11:59PM (MST) for Early Bird and no later than July 20, 2024 at 11:59PM (MST) for Regular submission. Late entries will not be accepted.

Participants grant the Intermountain Chapter of ASID the right to reproduce project images for promotional purposes. The Intermountain Chapter of ASID is not liable for any copyright infringement on the part of the participant or associate.

The Intermountain Chapter of ASID assumes all entries are the works and property of the participant and that clients and photographers of the projects have given their permission for the entry.

Gather your best projects, Save the Date for the Annual Meeting and Design Excellence Awards Event on September 26, 2024 at various locations in ID, MT, UT and WY.

Applicant and/or representatives from your firm MUST be registered for the Event AND in attendance to be eligible to receive an Award.




The ASID Intermountain Student Portfolio Competition is open to ASID Student members. Not a member? Submit an application for student membership at:

Early Bird Registration: $15 (deadline 6/20/24 at 11:59PM)

Regular Registration: $25 (6/21/24 – 7/27/24 at 11:59PM)

Intermountain Media Exposure
Enjoy the spotlight! As a competition winner, your talent will generate buzz. Through outreach and social media engagement, ASID Intermountain will share the news of your accomplishments with the ASID Intermountain community and beyond. Finalists and winners will also be given social media graphics to promote to their own networks. Finalists and winners will be featured on the ASID Intermountain website until the next competition’s honorees are named, showcasing your excellence to our broad membership of interior design leaders.

Portfolio Awards

First Place - $300

Second Place - $200

Third Place - $100 


Must be enrolled as an Interior Design student attending a college or university within the ASID Intermountain Chapter as of August 2023.

- Boise State University

- Ensign College

- Montana State University

- Salt Lake Community College

- University of Idaho

- University of Wyoming

- Utah State University

Record 1
{
  "formula": "C43H28BrCl2IN4OPPt",
  "method": "wB97M-V/def2-TZVPD",
  "relative_energy_kcal_mol": 36.4,
  "s_squared": 2.020,
  "multiplicity": 3,
  "lumo_ev": [1.97, 1.91],
  "total_charge": -1,
  "elements": ["Pt", "Br", "C", "C", "C", "C", "C", "C", "N", "N", "C", "C", "C", "C", "O", "C", "N", "C", "C", "C", "C", "H", "H", "H", "H", "H", "H", "H", "H", "H", "I", "C", "C", "C", "C", "C", "C", "C", "C", "C", "P", "C", "C", "C", "C", "C", "C", "C", "C", "C", "C", "C", "C", "C", "H", "H", "H", "H", "H", "H", "H", "H", "H", "H", "H", "H", "H", "H", "H", "H", "Cl", "C", "C", "C", "C", "C", "Cl", "C", "N", "H", "H", "H"],
  "positions_angstrom": [[-0.369, 0.197, -0.037], [-2.429, -2.945, -7.863], [-2.505, -3.871, -6.203], [-3.169, -3.302, -5.130], [-3.246, -3.992, -3.931], [-2.696, -5.275, -3.803], [-2.031, -5.818, -4.904], [-1.919, -5.120, -6.095], [-2.946, -6.140, -2.711], [-3.094, -5.791, -1.508], [-2.647, -4.610, -0.911], [-3.475, -4.155, 0.122], [-3.295, -2.949, 0.759], [-2.183, -2.132, 0.466], [-1.927, -1.077, 1.105], [-1.279, -2.598, -0.585], [-0.234, -1.781, -0.889], [0.679, -2.192, -1.742], [0.649, -3.470, -2.303], [-0.413, -4.294, -2.044], [-1.468, -3.846, -1.220], [-3.608, -2.317, -5.220], [-3.762, -3.544, -3.094], [-1.603, -6.810, -4.806], [-1.385, -5.543, -6.935], [-4.331, -4.778, 0.359], [-3.987, -2.601, 1.514], [1.481, -1.498, -1.961], [1.460, -3.793, -2.942], [-0.426, -5.292, -2.450], [2.466, 1.638, 0.152], [4.137, 0.445, 0.657], [5.266, 0.762, -0.052], [6.517, 0.213, 0.278], [6.613, -0.624, 1.344], [5.464, -1.005, 2.075], [5.634, -1.867, 3.184], [4.564, -2.281, 3.910], [3.272, -1.891, 3.517], [3.032, -1.054, 2.451], [1.236, -0.816, 1.978], [0.753, 0.387, 3.283], [1.688, 1.157, 3.973], [1.284, 2.034, 4.973], [-0.057, 2.142, 5.306], [-0.999, 1.399, 4.607], [-0.602, 0.543, 3.590], [0.518, -2.385, 2.629], [-0.208, -2.543, 3.806], [-0.839, -3.749, 4.090], [-0.750, -4.816, 3.207], [0.002, -4.684, 2.048], [0.626, -3.479, 1.765], [4.158, -0.522, 1.719], [5.191, 1.477, -0.859], [7.393, 0.498, -0.293], [7.574, -1.018, 1.658], [6.641, -2.181, 3.438], [4.694, -2.922, 4.774], [2.429, -2.275, 4.075], [2.743, 1.070, 3.743], [2.024, 2.630, 5.495], [-0.369, 2.816, 6.096], [-2.052, 1.496, 4.842], [-1.345, -0.018, 3.036], [-0.291, -1.723, 4.505], [-1.413, -3.850, 5.003], [-1.270, -5.743, 3.417], [0.078, -5.511, 1.351], [1.202, -3.373, 0.850], [-3.735, 1.111, -0.799], [-3.303, 2.316, 0.379], [-4.333, 2.984, 1.014], [-4.069, 4.019, 1.902], [-2.755, 4.417, 2.098], [-1.732, 3.764, 1.445], [-0.100, 4.333, 1.644], [-1.921, 2.628, 0.606], [-0.858, 2.034, 0.035], [-5.354, 2.694, 0.798], [-4.881, 4.528, 2.407], [-2.517, 5.247, 2.753]]
}

Record 2
{
  "formula": "C32H36F6N3O7S7SiTeTl",
  "method": "wB97M-V/def2-TZVPD",
  "relative_energy_kcal_mol": 0.0,
  "lumo_ev": 3.64,
  "total_charge": -2,

- Weber State University


The jury will assess each submission on:

  • Concept - How does this represent the way the student thinks?
  • Content - How does this submission represent the student’s ability?
  • Context - How doesthe submission represent who the student is and what the student has accomplished?
  • Execution - How well does the student communicate the content and value of their work?


Cover One page - Name, School, Expected Graduation Date, Statement (up to 500 well-chosen words)

Statement includes: 

- WHY do you care?
- WHY do you want to make an impact?
- WHY do you love design?

  • Should be written as if applying for a job or an internship.
  • The WHY should tell the jury who the student is and how the student thinks.
  • Emphasize the student’s impact.

ResumeOne page
Include education, applicable experience, and any other supporting information
(professional memberships, volunteer work, skills, awards, etc.).

Portfolio Up to four projects

_Molecular data from another source follow_
Record 1
20
Properties=species:S:1:pos:R:3 method="wB97M-V/def2-TZVPD" relative_energy_ev=8.927 total_energy_ev=-8925.0839
O -0.31 2.05 1.55
N 0.91 2.30 -0.82
C -0.54 -1.59 -0.07
C -0.46 -1.80 -1.46
C 0.04 -2.52 0.87
C 1.41 1.00 -0.74
C -1.10 -0.44 0.46
H 0.16 -2.28 1.88
H 0.89 2.80 0.05
H 1.12 0.60 0.26
H -0.64 -0.25 1.44
H 2.46 0.86 -0.97
H -0.68 2.66 2.17
H -0.06 2.26 -1.21
H -2.29 -0.37 0.50
H 0.95 0.36 -1.49
H -1.30 -1.35 -2.03
H -0.20 -2.78 -1.79
H 0.69 -3.31 0.41
H -1.11 0.37 -0.30

=====

Record 2
20
Properties=species:S:1:pos:R:3 method="wB97M-V/def2-TZVPD" smiles="C=CN.CCCO" relative_energy_ev=1.551 total_energy_ev=-8932.4595
O 0.04 -0.01 -2.36
N -1.59 0.86 1.99
C 1.95 -2.27 0.00
C 0.39 -0.57 -1.10
C 1.40 -1.68 -1.31
C -1.28 1.90 1.16
C -2.10 2.90 0.82
H 2.24 -1.27 -1.87
H -2.39 0.92 2.59
H -3.12 2.98 1.17
H -1.79 3.69 0.16
H 2.73 -2.98 -0.26
H 0.83 0.18 -0.43
H -0.50 -0.98 -0.61
H -0.86 0.23 2.26
H 0.94 -2.47 -1.91
H 1.17 -2.73 0.61
H -0.28 1.84 0.74
H 2.40 -1.47 0.59
H -0.15 0.93 -2.23

=====

Record 3
20
Properties=species:S:1:pos:R:3 method="wB97M-V/def2-TZVPD" smiles="C=C(C)N.CCO" relative_energy_ev=1.451 total_energy_ev=-8932.5594
O -3.60 -1.40 -0.75
N 2.47 0.90 2.12
C -1.93 0.01 -1.71
C 1.94 0.69 0.83
C 1.93 1.66 -0.11
C -2.29 -0.84 -0.51
C 1.35 -0.70 0.60
H 1.19 -0.91 -0.46
H 2.41 2.67 0.12
H 2.00 -1.49 1.02
H 1.43 1.51 -1.09
H -1.53 -1.66 -0.34
H -2.68 0.80 -1.85
H -1.93 -0.60 -2.60
H 0.37 -0.80 1.08
H -2.27 -0.21 0.41
H -0.94 0.49 -1.58
H 3.19 1.62 2.19
H -3.92 -1.81 0.06
H 2.81 0.07 2.57

=====

Record 4
20
Properties=species:S:1:pos:R:3 method="wB97M-V/def2-TZVPD" smiles="C=CCCNC.O" relative_energy_ev=3.967 total_energy_ev=-8930.0434
O -3.36 1.47 5.77
N 1.15 -0.55 0.33
C 0.91 0.60 -1.90
C -0.34 1.24 -2.31
C 1.91 -1.77 0.87
C 0.80 -0.82 -1.12
C -1.58 0.96 -2.19
H 1.28 -1.55 -1.73
H 1.39 0.34 0.65
H 1.54 0.40 -2.83
H -2.58 1.43 -2.55
H -0.27 -0.95 -1.15
H -1.88 0.09 -1.83
H -0.18 2.15 -2.96
H 2.18 -1.48 1.85
H 1.08 -2.60 0.93
H -3.44 0.49 5.98
H 1.46 1.19 -1.19
H -2.97 1.48 4.95
H 2.90 -2.11 0.42

=====

Record 5
20
Properties=species:S:1:pos:R:3 method="wB97M-V/def2-TZVPD" relative_energy_ev=1.545 total_energy_ev=-8932.4656
O 0.60 1.76 -2.19
N 0.30 0.82 1.22
C 0.42 -2.19 -1.10
C -1.60 -0.08 -0.12
C 0.76 -0.96 -0.32
C -0.12 -0.11 0.23
C -0.19 0.57 2.57
H 1.29 0.99 1.14
H -2.06 0.58 0.60
H -0.66 -2.32 -1.08
H -1.72 0.43 -1.07
H 0.61 -2.14 -2.18
H 0.88 -3.10 -0.71
H -2.04 -1.07 -0.04
H -1.25 0.37 2.50
H 1.78 -0.85 0.03
H 0.35 -0.24 3.07
H 0.87 0.87 -1.95
H -0.32 1.87 -1.92
H 0.00 1.45 3.18

=====

Record 6
20
Properties=species:S:1:pos:R:3 method="wB97M-V/def2-TZVPD" smiles="CC/C=C(/C)N.O" relative_energy_ev=3.784 total_energy_ev=-8930.2268
O -0.29 1.82 -1.96
N 1.57 -0.13 -1.21
C 0.46 -0.91 -0.52
C -0.93 1.28 2.16
C 0.32 -2.36 -1.19
C -0.29 -0.47 0.52
C 0.21 0.33 1.74
H 0.95 0.79 -1.38
H 1.05 -2.95 -0.53
H 0.34 -0.52 2.49
H 0.61 -2.14 -2.23
H -0.65 1.79 3.05
H -0.66 -2.84 -1.08
H 2.24 -0.78 -1.66
H -0.70 2.13 -2.75

  • Representation of student’s design capabilities.
  • Selected projects should showcase the impact of design on the human experience and
    the value interior design provides.
  • Individual vs. team projects should be identified. For team projects, students should
    identify role. More than one team project may be submitted.
  • Include process images (sketches, diagrams, etc.).
  • One project may be outside of interior design (ex. graphic design, architecture, art,
    research, writing, etc.).
  • The projects in the portfolio should support student’s WHY


Submissions will be evaluated on their concept, content, and context and will be evaluated on a 1 to 10 scale (1 being the lowest score and 10 being the highest).

  • Design Thinking and Creativity: 48% of total score
    - Quality of Written Statements and Project Descriptions
    - Originality, Ingenuity, and Creativity in Problem Solving
    - Innovation and Creativity in Design Elements
    - Incorporation of Universal Design Principles and Sustainability
    - Positive Impacts on Human Experience
  • Diversity of Capabilities and Communication: 22% of total score
    - Variety and Quality of Projects
    - Effective Communication
    - Professional Representation
  • Cover/Resume/Statement: 10% of total score
    - Impactful cover page
    - Clarity and Conciseness of Resume or Statement
  • Personal Identity and Design Journey: 10% of total score
    - Incorporation of Character and Structure
    - Relevant Biographical Information
    - Special Accomplishments, Interests, and Experiences
  • Overall Presentation and Organization: 10% of total score
    - Quality of Composition
    - Method of Presentation
    - Absence of Spelling and Grammatical Errors


  • Submission must be one digital document (PDF) no larger than 12 MB.
  • Each document should be composed of vector art and/or raster images.
  • Raster images should be at a resolution no less than 200 dpi and no greater than 300 dpi to maintain both visual clarity and manageable file sizes.
  • Documents should be legible at both distant and magnified views.
  • Projects may be hand drawn, computer generated, and/or a combination of both.
  • Notations and labeling must be clear and legible in a simple type of font.
  • Spelling and grammar should be flawless.
  • Submission – Up to 10 pages total including cover, statement, resume, and portfolio